Input:
'''
TcNiIr | PBE-GGA | optimized geometry

abc: 2.702 2.702 11.039
angles: 90.00 90.00 90.00
Sites, in units of the cell vectors:
Tc 0.000 0.000 0.000
Tc 0.500 0.500 0.500
Ni 0.000 0.000 0.337
Ni 0.500 0.500 0.837
Ir 0.000 0.000 0.669
Ir 0.500 0.500 0.169

E above lowest polymorph   0.093 eV/atom
DOS(E_F)   8.48 states/eV/cell

=====

[1]
## MgRePt2 (SCAN)

Data for MgRePt2 at its PBEsol-relaxed geometry.

Structure (POSCAR):
```
MgRePt2
1.0
-2.151 -1.159 1.262
-0.960 -1.860 -3.344
3.169 -4.280 1.471
Mg Pt Re
1 2 1
Cartesian
0.029 -3.650 -0.305
2.407 -3.251 1.117
0.762 -1.029 0.354
-1.556 -1.510 -1.041
```

ΔH_f (0 K) in meV/atom: -367
Fermi-level density of states in states/eV per atom: 0.599
SG: No. 47

[2]
## Mg2PtRh (SCAN)

Data for Mg2PtRh at its PBEsol-relaxed geometry.

Structure (POSCAR):
```
Mg2PtRh
1.0
3.105 0.000 0.000
0.000 3.105 0.000
0.000 0.000 6.189
Rh Mg Pt
1 2 1
Cartesian
1.552 1.552 3.095
0.000 0.000 4.597
0.000 0.000 1.592
1.552 1.552 0.000
```

ΔH_f (0 K) in meV/atom: -792
Fermi-level density of states in states/eV per atom: 0.295
SG: No. 123

[3]
## Mg2PtRh (SCAN)

Data for Mg2PtRh at its PBEsol-relaxed geometry.

Structure (POSCAR):
```
Mg2PtRh
1.0
-2.225 2.837 2.491
-2.512 -1.465 3.279
1.207 0.681 4.158
Mg Rh Pt
2 1 1
Cartesian
-2.647 1.540 7.446
-0.882 0.513 2.482
-1.765 1.027 4.964
0.000 0.000 0.000
```

ΔH_f (0 K) in meV/atom: -830
Fermi-level density of states in states/eV per atom: 0.324
SG: No. 225

=====

Computed, not measured: crystalline SbTe2CS at its relaxed geometry at the PBEsol level of DFT.

Output
formation energy (no corrections) = 1.871 eV per atom
DFT total energy = -16.28 eV for the cell shown
D(E_F) = 1.3168 states/eV per atom

```
data_SbTe2CS
_chemical_formula_sum 'Sb1 Te2 C1 S1'
_space_group_name_H-M_alt 'P 4/m m m'
_space_group_IT_number 123
_space_group_name_Hall '-P 4 2'
_cell_length_a 5.184
_cell_length_b 5.184
_cell_length_c 5.057
_cell_angle_alpha 90.00
_cell_angle_beta 90.00
_cell_angle_gamma 90.00
loop_
_atom_site_label
_atom_site_type_symbol
_atom_site_fract_x
_atom_site_fract_y
_atom_site_fract_z
Sb1 Sb 0.000 0.000 0.000
Te1 Te 0.000 0.500 0.500
C1 C 0.500 0.500 0.000
S1 S 0.000 0.000 0.500
```



Computed, not measured: crystalline Sc2C2S at its relaxed geometry at the PBEsol level of DFT.

Output
formation energy (no corrections) = -0.218 eV per atom
DFT total energy = -75.94 eV for the cell shown
D(E_F) = 0.1344 states/eV per atom

```
data_Sc2C2S
_chemical_formula_sum 'Sc4 C4 S2'
_space_group_name_H-M_alt 'I 4/m m m'
_space_group_IT_number 139
_space_group_name_Hall '-I 4 2'
_cell_length_a 3.204
_cell_length_b 3.204
_cell_length_c 12.731
_cell_angle_alpha 90.00
_cell_angle_beta 90.00
_cell_angle_gamma 90.00
loop_
_atom_site_label
_atom_site_type_symbol
_atom_site_fract_x
_atom_site_fract_y
_atom_site_fract_z
Sc1 Sc 0.000 0.000 0.128
C1 C 0.000 0.500 0.250
S1 S 0.000 0.000 0.500
```



Computed, not measured: crystalline ScC2S at its relaxed geometry at the PBEsol level of DFT.

Output
formation energy (no corrections) = 0.576 eV per atom
DFT total energy = -111.89 eV for the cell shown
D(E_F) = 0.3650 states/eV per atom

```
data_ScC2S
_chemical_formula_sum 'Sc4 C8 S4'
_space_group_name_H-M_alt 'I -4 2 d'
_space_group_IT_number 122
_space_group_name_Hall 'I -4 2bw'
_cell_length_a 5.259
_cell_length_b 5.259
_cell_length_c 6.226
_cell_angle_alpha 90.00
_cell_angle_beta 90.00
_cell_angle_gamma 90.00
loop_
_atom_site_label
_atom_site_type_symbol
_atom_site_fract_x
_atom_site_fract_y
_atom_site_fract_z
Sc1 Sc 0.000 0.000 0.000
C1 C 0.159 0.250 0.625
S1 S 0.000 0.000 0.500
```



Computed, not measured: crystalline Sc3CS at its relaxed geometry at the PBEsol level of DFT.

Output
formation energy (no corrections) = -0.647 eV per atom
DFT total energy = -37.08 eV for the cell shown
D(E_F) = 0.8268 states/eV per atom

```
data_Sc3CS
_chemical_formula_sum 'Sc3 C1 S1'
_space_group_name_H-M_alt 'P m -3 m'
_space_group_IT_number 221
_space_group_name_Hall '-P 4 2 3'
'''

Request:
Repeat the whole of the entries earlier on unchanged.

Reply:
TcNiIr | PBE-GGA | optimized geometry

abc: 2.702 2.702 11.039
angles: 90.00 90.00 90.00
Sites, in units of the cell vectors:
Tc 0.000 0.000 0.000
Tc 0.500 0.500 0.500
Ni 0.000 0.000 0.337
Ni 0.500 0.500 0.837
Ir 0.000 0.000 0.669
Ir 0.500 0.500 0.169

E above lowest polymorph   0.093 eV/atom
DOS(E_F)   8.48 states/eV/cell

=====

[1]
## MgRePt2 (SCAN)

Data for MgRePt2 at its PBEsol-relaxed geometry.

Structure (POSCAR):
```
MgRePt2
1.0
-2.151 -1.159 1.262
-0.960 -1.860 -3.344
3.169 -4.280 1.471
Mg Pt Re
1 2 1
Cartesian
0.029 -3.650 -0.305
2.407 -3.251 1.117
0.762 -1.029 0.354
-1.556 -1.510 -1.041
```

ΔH_f (0 K) in meV/atom: -367
Fermi-level density of states in states/eV per atom: 0.599
SG: No. 47

[2]
## Mg2PtRh (SCAN)

Data for Mg2PtRh at its PBEsol-relaxed geometry.

Structure (POSCAR):
```
Mg2PtRh
1.0
3.105 0.000 0.000
0.000 3.105 0.000
0.000 0.000 6.189
Rh Mg Pt
1 2 1
Cartesian
1.552 1.552 3.095
0.000 0.000 4.597
0.000 0.000 1.592
1.552 1.552 0.000
```

ΔH_f (0 K) in meV/atom: -792
Fermi-level density of states in states/eV per atom: 0.295
SG: No. 123

[3]
## Mg2PtRh (SCAN)

Data for Mg2PtRh at its PBEsol-relaxed geometry.

Structure (POSCAR):
```
Mg2PtRh
1.0
-2.225 2.837 2.491
-2.512 -1.465 3.279
1.207 0.681 4.158
Mg Rh Pt
2 1 1
Cartesian
-2.647 1.540 7.446
-0.882 0.513 2.482
-1.765 1.027 4.964
0.000 0.000 0.000
```

ΔH_f (0 K) in meV/atom: -830
Fermi-level density of states in states/eV per atom: 0.324
SG: No. 225

=====

Computed, not measured: crystalline SbTe2CS at its relaxed geometry at the PBEsol level of DFT.

Output
formation energy (no corrections) = 1.871 eV per atom
DFT total energy = -16.28 eV for the cell shown
D(E_F) = 1.3168 states/eV per atom

```
data_SbTe2CS
_chemical_formula_sum 'Sb1 Te2 C1 S1'
_space_group_name_H-M_alt 'P 4/m m m'
_space_group_IT_number 123
_space_group_name_Hall '-P 4 2'
_cell_length_a 5.184
_cell_length_b 5.184
_cell_length_c 5.057
_cell_angle_alpha 90.00
_cell_angle_beta 90.00
_cell_angle_gamma 90.00
loop_
_atom_site_label
_atom_site_type_symbol
_atom_site_fract_x
_atom_site_fract_y
_atom_site_fract_z
Sb1 Sb 0.000 0.000 0.000
Te1 Te 0.000 0.500 0.500
C1 C 0.500 0.500 0.000
S1 S 0.000 0.000 0.500
```



Computed, not measured: crystalline Sc2C2S at its relaxed geometry at the PBEsol level of DFT.

Output
formation energy (no corrections) = -0.218 eV per atom
DFT total energy = -75.94 eV for the cell shown
D(E_F) = 0.1344 states/eV per atom

```
data_Sc2C2S
_chemical_formula_sum 'Sc4 C4 S2'
_space_group_name_H-M_alt 'I 4/m m m'
_space_group_IT_number 139
_space_group_name_Hall '-I 4 2'
_cell_length_a 3.204
_cell_length_b 3.204
_cell_length_c 12.731
_cell_angle_alpha 90.00
_cell_angle_beta 90.00
_cell_angle_gamma 90.00
loop_
_atom_site_label
_atom_site_type_symbol
_atom_site_fract_x
_atom_site_fract_y
_atom_site_fract_z
Sc1 Sc 0.000 0.000 0.128
C1 C 0.000 0.500 0.250
S1 S 0.000 0.000 0.500
```



Computed, not measured: crystalline ScC2S at its relaxed geometry at the PBEsol level of DFT.

Output
formation energy (no corrections) = 0.576 eV per atom
DFT total energy = -111.89 eV for the cell shown
D(E_F) = 0.3650 states/eV per atom

```
data_ScC2S
_chemical_formula_sum 'Sc4 C8 S4'
_space_group_name_H-M_alt 'I -4 2 d'
_space_group_IT_number 122
_space_group_name_Hall 'I -4 2bw'
_cell_length_a 5.259
_cell_length_b 5.259
_cell_length_c 6.226
_cell_angle_alpha 90.00
_cell_angle_beta 90.00
_cell_angle_gamma 90.00
loop_
_atom_site_label
_atom_site_type_symbol
_atom_site_fract_x
_atom_site_fract_y
_atom_site_fract_z
Sc1 Sc 0.000 0.000 0.000
C1 C 0.159 0.250 0.625
S1 S 0.000 0.000 0.500
```



Computed, not measured: crystalline Sc3CS at its relaxed geometry at the PBEsol level of DFT.

Output
formation energy (no corrections) = -0.647 eV per atom
DFT total energy = -37.08 eV for the cell shown
D(E_F) = 0.8268 states/eV per atom

```
data_Sc3CS
_chemical_formula_sum 'Sc3 C1 S1'
_space_group_name_H-M_alt 'P m -3 m'
_space_group_IT_number 221
_space_group_name_Hall '-P 4 2 3'